Request:
Your job: type out only the last part of the block below, starting with the line that has "-5.8265 -0.8978".
Material:
Entry 1:
First-principles (GGA+U) data for an optimized crystal structure of Bi26Mo10O69, as listed in Materials Project.

```
105
Lattice="-5.9200 0.0000 0.0000 -0.0019 -11.9069 0.0000 0.1730 5.3931 24.9339" Properties=species:S:1:pos:R:3 pbc="T T T"
Bi -0.4855 -4.6862 8.1546
Bi -5.2634 -1.8276 16.7793
Bi -2.8722 -2.9077 10.1730
Bi -2.8767 -3.6060 14.7609
Bi -3.4483 -2.7087 6.4531
Bi -2.3007 -3.8051 18.4809
Bi -5.8265 -0.8978 8.6491
Bi 0.0776 -5.6160 16.2849
Bi -5.8757 -0.7029 4.5796
Bi 0.1268 -5.8109 20.3543
Bi -0.4333 -4.5568 4.4163
Bi -5.3156 -1.9570 20.5176
Bi -3.4105 -6.4905 6.2854
Bi -2.3384 -0.0232 18.6485
Bi -2.8349 -6.5407 10.0792
Bi -2.9141 0.0269 14.8547
Bi -5.8326 -8.4736 8.0967
Bi 0.0837 1.9598 16.8372
Bi -5.8080 -8.2877 4.0492
Bi 0.0590 1.7739 20.8847
Bi -2.8210 -6.4192 2.3840
Bi -2.9279 -0.0946 22.5500
Bi -2.8362 -2.5221 2.6416
Bi -2.9127 -3.9917 22.2923
Bi 0.0865 2.6966 12.4670
Bi 0.0000 0.0000 0.0000
Mo -2.9415 -10.5348 6.1914
Mo -2.8075 4.0210 18.7426
Mo 0.0462 -5.2064 12.1356
Mo -5.7952 -1.3074 12.7983
Mo 0.1150 -2.7003 24.6316
Mo -5.8639 -3.8135 0.3023
Mo -2.9134 -10.6315 1.9471
Mo -2.8355 4.1177 22.9869
Mo -2.9216 1.3818 10.6249
Mo -2.8274 -7.8955 14.3090
O -1.5453 -4.6108 6.2556
O -4.2037 -1.9030 18.6784
O -4.5987 -4.5987 6.2778
O -1.1503 -1.9151 18.6561
O -4.2711 -6.9742 8.3859
O -1.4778 0.4604 16.5481
O -5.2855 -1.4199 6.5099
O -0.4634 -5.0939 18.4241
O -1.3640 -2.4615 8.6129
O -4.3849 -4.0523 16.3211
O -4.2661 -2.2295 4.2132
O -1.4828 -4.2842 20.7208
O -4.3644 -6.6855 3.8840
O -1.3845 0.1717 21.0499
O -4.3875 -2.5158 8.6567
O -1.3615 -3.9979 16.2772
O -1.2914 -6.8345 8.3457
O -4.4575 0.3208 16.5883
O -2.4894 -4.5042 3.3736
O -3.2596 -2.0096 21.5604
O -1.2628 -2.3880 4.1841
O -4.4861 -4.1258 20.7499
O -1.3698 -6.7336 3.9986
O -4.3791 0.2198 20.9353
O -5.2770 -7.7757 6.0891
O -0.4719 1.2619 18.8448
O -2.6406 -4.6856 8.9095
O -3.1083 -1.8282 16.0245
O -1.8850 -9.0783 6.0375
O -3.8640 2.5645 18.8965
O -1.8719 -0.0991 6.2580
O -3.8770 -6.4147 18.6759
O -0.1949 -7.0488 11.7276
O -5.5541 0.5350 13.2064
O -4.4173 -5.0030 10.9980
O -1.3316 -1.5108 13.9360
O -5.1536 -4.3590 24.1147
O -0.5953 -2.1548 0.8192
O -3.9261 1.5050 7.6736
O -1.8228 -8.0187 17.2603
O -4.5646 2.2238 10.5525
O -1.1844 -8.7376 14.3815
O -1.3579 -2.3224 23.6587
O -4.3910 -4.1913 1.2752
O -4.0638 -10.6428 4.7862
O -1.6852 4.1290 20.1477
O -2.9973 -0.2680 9.9357
O -2.7516 -6.2458 14.9982
O -0.3542 -8.0218 1.4619
O -5.3947 1.5081 23.4720
O -4.5399 -1.5317 24.2309
O -1.2090 -4.9821 0.7030
O -1.6641 -9.4904 9.8699
O -4.0848 2.9766 15.0640
O -2.0614 -10.6366 0.3407
O -3.6875 4.1228 24.5932
O -4.6088 -11.3208 1.8399
O -1.1401 4.8070 23.0940
O -0.1104 -1.0408 11.0066
O -5.6385 -5.4729 13.9274
O -1.8947 0.1782 2.9165
O -3.8542 -6.6920 22.0174
O -2.9489 -8.9662 2.5647
O -2.8001 2.4524 22.3693
O -1.6144 -4.8757 11.3701
O -4.1346 -1.6380 13.5639
O -2.3968 1.2691 12.3259
O -3.3521 -7.7829 12.6081
O 0.0856 -3.2569 12.4670
```

Calculated values
Magnetic moment = 0.11 μB/f.u.
SG = P-1
Energy above the lowest structure with this stoichiometry = 0.0 meV per atom
E_tot = -661.4 eV for the cell shown
Density = 7.08 g/cm3
Calculated formation energy = -1.81 eV/atom



Entry 2:
First-principles (GGA+U) data for an optimized crystal structure of Bi14MoO24, as listed in Materials Project.

```
78
Lattice="-10.5480 0.0000 0.0000 3.2597 10.0457 0.0000 -0.0276 -0.1002 -12.3877" Properties=species:S:1:pos:R:3 pbc="T T T"
Bi -3.7952 0.3587 -1.1839
Bi -0.8762 1.1492 -3.9544
Bi -7.5878 0.7530 -2.5080
Bi -4.5198 1.2516 -5.1088
Bi -1.2831 1.7101 -7.6778
Bi -8.3715 1.5372 -6.1944
Bi -5.2713 2.3767 -8.7008
Bi -2.3486 3.1135 -10.8913
Bi -7.4838 5.3008 -7.3067
Bi -4.5242 6.1083 -10.3183
Bi -8.9223 2.5217 -9.8698
Bi -5.8581 3.4160 -0.0019
Bi -2.7916 3.8372 -2.0694
Bi -0.7367 5.6884 -8.6898
Bi -8.1443 6.2585 -11.2409
Bi -4.9673 6.8319 -1.4963
Bi 0.8284 3.6869 -1.1468
Bi -6.5792 4.2570 -3.6979
Bi -1.4578 6.5294 -12.3858
Bi 1.6064 7.4237 -2.5179
Bi -6.0327 8.2353 -4.7098
Written answer:
Bi -5.8265 -0.8978 8.6491
Bi 0.0776 -5.6160 16.2849
Bi -5.8757 -0.7029 4.5796
Bi 0.1268 -5.8109 20.3543
Bi -0.4333 -4.5568 4.4163
Bi -5.3156 -1.9570 20.5176
Bi -3.4105 -6.4905 6.2854
Bi -2.3384 -0.0232 18.6485
Bi -2.8349 -6.5407 10.0792
Bi -2.9141 0.0269 14.8547
Bi -5.8326 -8.4736 8.0967
Bi 0.0837 1.9598 16.8372
Bi -5.8080 -8.2877 4.0492
Bi 0.0590 1.7739 20.8847
Bi -2.8210 -6.4192 2.3840
Bi -2.9279 -0.0946 22.5500
Bi -2.8362 -2.5221 2.6416
Bi -2.9127 -3.9917 22.2923
Bi 0.0865 2.6966 12.4670
Bi 0.0000 0.0000 0.0000
Mo -2.9415 -10.5348 6.1914
Mo -2.8075 4.0210 18.7426
Mo 0.0462 -5.2064 12.1356
Mo -5.7952 -1.3074 12.7983
Mo 0.1150 -2.7003 24.6316
Mo -5.8639 -3.8135 0.3023
Mo -2.9134 -10.6315 1.9471
Mo -2.8355 4.1177 22.9869
Mo -2.9216 1.3818 10.6249
Mo -2.8274 -7.8955 14.3090
O -1.5453 -4.6108 6.2556
O -4.2037 -1.9030 18.6784
O -4.5987 -4.5987 6.2778
O -1.1503 -1.9151 18.6561
O -4.2711 -6.9742 8.3859
O -1.4778 0.4604 16.5481
O -5.2855 -1.4199 6.5099
O -0.4634 -5.0939 18.4241
O -1.3640 -2.4615 8.6129
O -4.3849 -4.0523 16.3211
O -4.2661 -2.2295 4.2132
O -1.4828 -4.2842 20.7208
O -4.3644 -6.6855 3.8840
O -1.3845 0.1717 21.0499
O -4.3875 -2.5158 8.6567
O -1.3615 -3.9979 16.2772
O -1.2914 -6.8345 8.3457
O -4.4575 0.3208 16.5883
O -2.4894 -4.5042 3.3736
O -3.2596 -2.0096 21.5604
O -1.2628 -2.3880 4.1841
O -4.4861 -4.1258 20.7499
O -1.3698 -6.7336 3.9986
O -4.3791 0.2198 20.9353
O -5.2770 -7.7757 6.0891
O -0.4719 1.2619 18.8448
O -2.6406 -4.6856 8.9095
O -3.1083 -1.8282 16.0245
O -1.8850 -9.0783 6.0375
O -3.8640 2.5645 18.8965
O -1.8719 -0.0991 6.2580
O -3.8770 -6.4147 18.6759
O -0.1949 -7.0488 11.7276
O -5.5541 0.5350 13.2064
O -4.4173 -5.0030 10.9980
O -1.3316 -1.5108 13.9360
O -5.1536 -4.3590 24.1147
O -0.5953 -2.1548 0.8192
O -3.9261 1.5050 7.6736
O -1.8228 -8.0187 17.2603
O -4.5646 2.2238 10.5525
O -1.1844 -8.7376 14.3815
O -1.3579 -2.3224 23.6587
O -4.3910 -4.1913 1.2752
O -4.0638 -10.6428 4.7862
O -1.6852 4.1290 20.1477
O -2.9973 -0.2680 9.9357
O -2.7516 -6.2458 14.9982
O -0.3542 -8.0218 1.4619
O -5.3947 1.5081 23.4720
O -4.5399 -1.5317 24.2309
O -1.2090 -4.9821 0.7030
O -1.6641 -9.4904 9.8699
O -4.0848 2.9766 15.0640
O -2.0614 -10.6366 0.3407
O -3.6875 4.1228 24.5932
O -4.6088 -11.3208 1.8399
O -1.1401 4.8070 23.0940
O -0.1104 -1.0408 11.0066
O -5.6385 -5.4729 13.9274
O -1.8947 0.1782 2.9165
O -3.8542 -6.6920 22.0174
O -2.9489 -8.9662 2.5647
O -2.8001 2.4524 22.3693
O -1.6144 -4.8757 11.3701
O -4.1346 -1.6380 13.5639
O -2.3968 1.2691 12.3259
O -3.3521 -7.7829 12.6081
O 0.0856 -3.2569 12.4670
```

Calculated values
Magnetic moment = 0.11 μB/f.u.
SG = P-1
Energy above the lowest structure with this stoichiometry = 0.0 meV per atom
E_tot = -661.4 eV for the cell shown
Density = 7.08 g/cm3
Calculated formation energy = -1.81 eV/atom



Entry 2:
First-principles (GGA+U) data for an optimized crystal structure of Bi14MoO24, as listed in Materials Project.

```
78
Lattice="-10.5480 0.0000 0.0000 3.2597 10.0457 0.0000 -0.0276 -0.1002 -12.3877" Properties=species:S:1:pos:R:3 pbc="T T T"
Bi -3.7952 0.3587 -1.1839
Bi -0.8762 1.1492 -3.9544
Bi -7.5878 0.7530 -2.5080
Bi -4.5198 1.2516 -5.1088
Bi -1.2831 1.7101 -7.6778
Bi -8.3715 1.5372 -6.1944
Bi -5.2713 2.3767 -8.7008
Bi -2.3486 3.1135 -10.8913
Bi -7.4838 5.3008 -7.3067
Bi -4.5242 6.1083 -10.3183
Bi -8.9223 2.5217 -9.8698
Bi -5.8581 3.4160 -0.0019
Bi -2.7916 3.8372 -2.0694
Bi -0.7367 5.6884 -8.6898
Bi -8.1443 6.2585 -11.2409
Bi -4.9673 6.8319 -1.4963
Bi 0.8284 3.6869 -1.1468
Bi -6.5792 4.2570 -3.6979
Bi -1.4578 6.5294 -12.3858
Bi 1.6064 7.4237 -2.5179
Bi -6.0327 8.2353 -4.7098